# Entries
+++
[1]
Structure and computed powder diffraction line list of Pa4Pd6Rh7 (a structure optimized by DFT (PBE); Cu Kα).

Structural model:
Lattice parameters (Å, degrees): 7.2886 7.2886 7.2886 109.47 109.47 109.47
Positions (direct):
1 Pa 0.0000 0.0000 0.5000
2 Pa 0.0000 0.5000 0.0000
3 Pa 0.5000 0.0000 0.0000
4 Pa 0.5000 0.5000 0.5000
5 Pd 0.0000 0.2989 0.2989
6 Pd 0.0000 0.7011 0.7011
7 Pd 0.2989 0.0000 0.2989
8 Pd 0.2989 0.2989 0.0000
9 Pd 0.7011 0.0000 0.7011
10 Pd 0.7011 0.7011 0.0000
11 Rh 0.0000 0.0000 0.0000
12 Rh 0.2500 0.5000 0.7500
13 Rh 0.2500 0.7500 0.5000
14 Rh 0.5000 0.2500 0.7500
15 Rh 0.5000 0.7500 0.2500
16 Rh 0.7500 0.2500 0.5000
17 Rh 0.7500 0.5000 0.2500

Largest 10 diffraction maxima, in order of rising 2θ, 10 to 90 degrees two-theta:
2theta  d_spacing  I_rel
30.03  2.976  29.0
37.00  2.430  100.0
42.99  2.104  59.1
48.37  1.882  8.6
53.33  1.718  7.8
62.42  1.488  34.0
70.81  1.331  9.8
74.83  1.269  29.9
78.78  1.215  10.1
86.55  1.125  8.7


[2]
Structure and computed powder diffraction line list of Ti2TeSe2 (a structure optimized by DFT (PBE); Cu Kα).

Structural model:
Lattice parameters (Å, degrees): 10.3599 10.3599 10.3599 20.70 20.70 20.70
Positions (direct):
1 Ti 0.1009 0.1009 0.1009
2 Ti 0.8991 0.8991 0.8991
3 Te 0.5000 0.5000 0.5000
4 Se 0.2761 0.2761 0.2761
5 Se 0.7239 0.7239 0.7239

Largest 10 diffraction maxima, in order of rising 2θ, 10 to 90 degrees two-theta:
2theta  d_spacing  I_rel
26.38  3.378  18.9
30.11  2.968  29.1
31.41  2.848  100.0
36.55  2.458  23.0
40.80  2.212  22.3
48.06  1.893  22.9
48.94  1.861  35.3
56.44  1.630  14.0
59.31  1.558  15.2
76.10  1.251  13.4


[3]
Structure and computed powder diffraction line list of AlAg6 (a structure optimized by DFT (PBE); Cu Kα).

Structural model:
Lattice parameters (Å, degrees): 14.2371 14.2371 14.2371 168.10 168.10 16.86
Positions (direct):
1 Al 0.0000 0.0000 0.0000
2 Ag 0.1400 0.1400 0.0000
3 Ag 0.2868 0.2868 0.0000
4 Ag 0.4351 0.4351 0.0000
5 Ag 0.5649 0.5649 0.0000
6 Ag 0.7132 0.7132 0.0000
7 Ag 0.8600 0.8600 0.0000

Largest 10 diffraction maxima, in order of rising 2θ, 10 to 90 degrees two-theta:
2theta  d_spacing  I_rel
31.78  2.816  5.1
34.30  2.614  5.9
37.80  2.380  100.0
43.36  2.087  34.5
45.06  2.012  13.5
62.99  1.476  10.7
64.31  1.448  17.7
75.86  1.254  23.8
78.30  1.221  8.4
80.76  1.190  9.2


[4]
Structure and computed powder diffraction line list of ReGe2Se6 (a structure optimized by DFT (PBE); Cu Kα).

Structural model:
Lattice parameters (Å, degrees): 8.4110 8.4110 6.4958 97.58 97.58 84.24
Positions (direct):
1 Re 0.1163 0.8837 0.7500
2 Re 0.8837 0.1163 0.2500
3 Ge 0.2174 0.3862 0.6519
4 Ge 0.3862 0.2174 0.1519
5 Ge 0.6138 0.7826 0.8481
6 Ge 0.7826 0.6138 0.3481
7 Se 0.0180 0.1779 0.6199
8 Se 0.1102 0.6323 0.8717
9 Se 0.1779 0.0180 0.1199
10 Se 0.2847 0.4692 0.3346
11 Se 0.3677 0.8898 0.6283
12 Se 0.4692 0.2847 0.8346
13 Se 0.5308 0.7153 0.1654
14 Se 0.6323 0.1102 0.3717
15 Se 0.7153 0.5308 0.6654
16 Se 0.8221 0.9820 0.8801
17 Se 0.8898 0.3677 0.1283
18 Se 0.9820 0.8221 0.3801

Largest 10 diffraction maxima, in order of rising 2θ, 10 to 90 degrees two-theta:
2theta  d_spacing  I_rel
10.65  8.308  62.7
16.45  5.389  37.7
23.12  3.847  64.1
26.97  3.306  41.5
27.87  3.201  43.5
29.11  3.067  79.0
33.69  2.661  58.3
33.85  2.648  36.8
48.38  1.881  50.1
48.50  1.877  100.0
+++

# Brief
Echo everything further up without altering anything.

# Outcome
[1]
Structure and computed powder diffraction line list of Pa4Pd6Rh7 (a structure optimized by DFT (PBE); Cu Kα).

Structural model:
Lattice parameters (Å, degrees): 7.2886 7.2886 7.2886 109.47 109.47 109.47
Positions (direct):
1 Pa 0.0000 0.0000 0.5000
2 Pa 0.0000 0.5000 0.0000
3 Pa 0.5000 0.0000 0.0000
4 Pa 0.5000 0.5000 0.5000
5 Pd 0.0000 0.2989 0.2989
6 Pd 0.0000 0.7011 0.7011
7 Pd 0.2989 0.0000 0.2989
8 Pd 0.2989 0.2989 0.0000
9 Pd 0.7011 0.0000 0.7011
10 Pd 0.7011 0.7011 0.0000
11 Rh 0.0000 0.0000 0.0000
12 Rh 0.2500 0.5000 0.7500
13 Rh 0.2500 0.7500 0.5000
14 Rh 0.5000 0.2500 0.7500
15 Rh 0.5000 0.7500 0.2500
16 Rh 0.7500 0.2500 0.5000
17 Rh 0.7500 0.5000 0.2500

Largest 10 diffraction maxima, in order of rising 2θ, 10 to 90 degrees two-theta:
2theta  d_spacing  I_rel
30.03  2.976  29.0
37.00  2.430  100.0
42.99  2.104  59.1
48.37  1.882  8.6
53.33  1.718  7.8
62.42  1.488  34.0
70.81  1.331  9.8
74.83  1.269  29.9
78.78  1.215  10.1
86.55  1.125  8.7


[2]
Structure and computed powder diffraction line list of Ti2TeSe2 (a structure optimized by DFT (PBE); Cu Kα).

Structural model:
Lattice parameters (Å, degrees): 10.3599 10.3599 10.3599 20.70 20.70 20.70
Positions (direct):
1 Ti 0.1009 0.1009 0.1009
2 Ti 0.8991 0.8991 0.8991
3 Te 0.5000 0.5000 0.5000
4 Se 0.2761 0.2761 0.2761
5 Se 0.7239 0.7239 0.7239

Largest 10 diffraction maxima, in order of rising 2θ, 10 to 90 degrees two-theta:
2theta  d_spacing  I_rel
26.38  3.378  18.9
30.11  2.968  29.1
31.41  2.848  100.0
36.55  2.458  23.0
40.80  2.212  22.3
48.06  1.893  22.9
48.94  1.861  35.3
56.44  1.630  14.0
59.31  1.558  15.2
76.10  1.251  13.4


[3]
Structure and computed powder diffraction line list of AlAg6 (a structure optimized by DFT (PBE); Cu Kα).

Structural model:
Lattice parameters (Å, degrees): 14.2371 14.2371 14.2371 168.10 168.10 16.86
Positions (direct):
1 Al 0.0000 0.0000 0.0000
2 Ag 0.1400 0.1400 0.0000
3 Ag 0.2868 0.2868 0.0000
4 Ag 0.4351 0.4351 0.0000
5 Ag 0.5649 0.5649 0.0000
6 Ag 0.7132 0.7132 0.0000
7 Ag 0.8600 0.8600 0.0000

Largest 10 diffraction maxima, in order of rising 2θ, 10 to 90 degrees two-theta:
2theta  d_spacing  I_rel
31.78  2.816  5.1
34.30  2.614  5.9
37.80  2.380  100.0
43.36  2.087  34.5
45.06  2.012  13.5
62.99  1.476  10.7
64.31  1.448  17.7
75.86  1.254  23.8
78.30  1.221  8.4
80.76  1.190  9.2


[4]
Structure and computed powder diffraction line list of ReGe2Se6 (a structure optimized by DFT (PBE); Cu Kα).

Structural model:
Lattice parameters (Å, degrees): 8.4110 8.4110 6.4958 97.58 97.58 84.24
Positions (direct):
1 Re 0.1163 0.8837 0.7500
2 Re 0.8837 0.1163 0.2500
3 Ge 0.2174 0.3862 0.6519
4 Ge 0.3862 0.2174 0.1519
5 Ge 0.6138 0.7826 0.8481
6 Ge 0.7826 0.6138 0.3481
7 Se 0.0180 0.1779 0.6199
8 Se 0.1102 0.6323 0.8717
9 Se 0.1779 0.0180 0.1199
10 Se 0.2847 0.4692 0.3346
11 Se 0.3677 0.8898 0.6283
12 Se 0.4692 0.2847 0.8346
13 Se 0.5308 0.7153 0.1654
14 Se 0.6323 0.1102 0.3717
15 Se 0.7153 0.5308 0.6654
16 Se 0.8221 0.9820 0.8801
17 Se 0.8898 0.3677 0.1283
18 Se 0.9820 0.8221 0.3801

Largest 10 diffraction maxima, in order of rising 2θ, 10 to 90 degrees two-theta:
2theta  d_spacing  I_rel
10.65  8.308  62.7
16.45  5.389  37.7
23.12  3.847  64.1
26.97  3.306  41.5
27.87  3.201  43.5
29.11  3.067  79.0
33.69  2.661  58.3
33.85  2.648  36.8
48.38  1.881  50.1
48.50  1.877  100.0